Saying Goodbye to Ali, Thanking God for His Gifts
Picture: Xiu Xiu, flickr, CC
Merryn and I lost a friend this week.
We first met Ali as she was battling ovarian cancer. We watched her fight that battle with remarkable perseverance, cheer, even cheekiness. And at first it looked like she’d won. But after a three-year reprieve another round came. Ali again fought hard, with joy as much as medical treatment. She called her numerous hospital visits ‘gallivants’, she christened her portable oxygen machine ‘Vera’ and dressed it in feathers, she stayed grateful and positive all the way through, taking smiling selfies from her hospital bed.
But on Friday Ali left us. And how her family and friends miss her now.
I was putting the finishing touches on my next book last week. And as it happens, I had written a story into it about Ali. I still remember the Friday night she recounted this event to us. Ali discovered a God who hears each prayer we whisper, and helped us learn a little more to trust Him.
Here’s the story as it read on Friday.
Bye for now, Ali. We miss you.
But we will see you again.
“So if you sinful people know how to give good gifts to your children, how much more will your heavenly Father give good gifts to those who ask him.”
Matthew 7:11
Merryn and I have a friend named Ali. We got to know Ali when she joined our Friday night prayer group looking for support during her battle with cancer. She soon became a friend, started praying herself, and began discovering who God is.
Ali’s taste in fashion and furnishing is exotic. Her flat is filled with fairies, feathers, crystals, and cheap-but-classy antiques. Browsing an antique shop one day, Ali came across a beautiful old Singer-style sewing machine—the manual kind, mounted on a table with a foot pedal. “God,” she prayed, “I’d love something like that for my place.”
God is a gift-giving God. He gives us food and joy, sunshine and rain, forgiveness and eternal life, the Holy Spirit and spiritual gifts. In his Sermon on the Mount, Jesus compares God the Father to earthly parents. If they—even though they’re fallen and selfish—know how to give their children good things, how much more so does God? Jesus wants us to know that as we pray for guidance or for a need to be met, our Father hears us.
But still, there’s a world of difference between asking God for a need and for an old sewing machine, don’t you think? Ali wasn’t praying for food, rent money, world peace, or even eternal salvation. Her request was a childlike wish to a God she was just becoming acquainted with. I’m not even sure how serious her prayer was.
A couple of days after her visit to the antique shop, Ali walked out her front door on her way to work and saw a pile of junk by the roadside. She stopped in amazement. There in front of her stood a beautiful old Singer-style sewing machine—the manual kind, mounted on a table with a foot pedal. On it hung a sign that read:
“Perfect condition—please take.”

Ali (in green) with the rest of the ‘Friday night’ crowd in 2011
Carolyn Denson
Hi Sheridan and Merryn I’m so sorry to hear about your loss.
The blog about Ali was beautiful. It’s reminded me that we ask God for all sorts don’t we and whinge when big asks are not met. How often though are the little requests answered but because we’re complaining about the big ones not being met we can miss the small answers of yes which in the long run are better for us.
Sheridan Voysey
Very true, Carolyn. Thanks so much.
-- Inserted here: crystal structures --
~~~
Version A
A relaxed structure of Cs2PtF6, computed with GGA-PBE.

a = 6.3466 Å, b = 6.3466 Å, c = 5.1969 Å
α = 90.00°, β = 90.00°, γ = 120.00°
Last column: nearest neighbours and their distance in Å.
Space group P-3m1 (No. 164)
Asymmetric unit:
Cs: 0.3333 0.6667 0.2089 (multiplicity 2)  12 F 3.21-3.28
Pt: 0.0000 0.0000 0.5000 (multiplicity 1)  6 F 1.98
F: 0.1508 0.3015 0.7093 (multiplicity 6)  1 Pt 1.98


Version B
A relaxed structure of Cs2PtF6, computed with GGA-PBE.

a = 9.2496 Å, b = 9.2496 Å, c = 9.2496 Å
α = 90.00°, β = 90.00°, γ = 90.00°
Last column: nearest neighbours and their distance in Å.
Space group Fm-3m (No. 225)
Asymmetric unit:
Cs: 0.2500 0.2500 0.2500 (multiplicity 8)  12 F 3.29
Pt: 0.0000 0.0000 0.0000 (multiplicity 4)  6 F 1.98
F: 0.0000 0.0000 0.2140 (multiplicity 24)  1 Pt 1.98


Most stable to least stable: version B, version A


Version A
A relaxed structure of CsMg14Fe, computed with GGA-PBE.

a = 10.6246 Å, b = 6.3429 Å, c = 11.5708 Å
α = 90.00°, β = 90.00°, γ = 90.00°
Last column: nearest neighbours and their distance in Å.
Space group Amm2 (No. 38)
Asymmetric unit:
Cs: 0.0000 0.0000 0.0000 (multiplicity 2)  10 Mg 3.23-3.50, 2 Fe 3.28
Mg: 0.0000 0.2493 0.2439 (multiplicity 4)  1 Fe 2.64
Mg: 0.2197 0.0000 0.6100 (multiplicity 4)  1 Fe 3.15, 9 Mg 3.18-3.46
Mg: 0.2529 0.2382 0.3704 (multiplicity 8)  8 Mg 3.02-3.32, 1 Fe 3.15
Mg: 0.2817 0.0000 0.1302 (multiplicity 4)  7 Mg 3.00-3.25, 1 Cs 3.35
Mg: 0.5000 0.0000 0.4607 (multiplicity 2)  12 Mg 3.17-3.44
Mg: 0.5000 0.0000 0.9553 (multiplicity 2)  12 Mg 3.08-3.40
Mg: 0.5000 0.2420 0.7130 (multiplicity 4)  9 Mg 3.00-3.30
Fe: 0.0000 0.0000 0.4267 (multiplicity 2)  2 Mg 2.64

Calculated values
Magnetic moment: 0.05 Bohr magnetons per cell


Version B
A relaxed structure of CsMg14Fe, computed with GGA-PBE.

a = 6.4571 Å, b = 6.4571 Å, c = 10.6995 Å
α = 90.00°, β = 90.00°, γ = 120.00°
Last column: nearest neighbours and their distance in Å.
Space group P-6m2 (No. 187)
Asymmetric unit:
Cs: 0.0000 0.0000 0.0000 (multiplicity 1)  12 Mg 3.23-3.54
Mg: 0.0066 0.5033 0.0000 (multiplicity 3)  10 Mg 3.16-3.53, 2 Cs 3.23
Mg: 0.1662 0.3323 0.2816 (multiplicity 6)  1 Fe 2.99, 8 Mg 3.01-3.26
Mg: 0.5050 0.0100 0.5000 (multiplicity 3)  10 Mg 3.01-3.33, 2 Fe 3.23
Mg: 0.6667 0.3333 0.2424 (multiplicity 2)  12 Mg 3.22-3.30
Fe: 0.0000 0.0000 0.5000 (multiplicity 1)  12 Mg 2.99-3.23

Calculated values
Magnetic moment: 2.68 Bohr magnetons per cell


Most stable to least stable: version B, version A


Version A
A relaxed structure of CsMg6Ga, computed with GGA-PBE.

a = 4.8001 Å, b = 8.0732 Å, c = 11.9988 Å
α = 90.00°, β = 90.00°, γ = 90.00°
Last column: nearest neighbours and their distance in Å.
Space group Amm2 (No. 38)
Asymmetric unit:
Cs: 0.0000 0.0000 0.0000 (multiplicity 2)  8 Mg 3.58-3.68, 2 Ga 3.72
Mg: 0.0000 0.0000 0.4343 (multiplicity 2)  6 Mg 3.06-3.11
Mg: 0.0000 0.2006 0.7308 (multiplicity 4)  2 Ga 2.92, 3 Mg 3.24-3.26
Mg: 0.5000 0.0000 0.2766 (multiplicity 2)  2 Mg 3.06
~~~
-- End of the crystal structures --
Hi Sheridan, I’m so sorry to read of your loss. Ali sounds like one of the mystically wonderful souls who bless us so much with their joyful outlook on life and general whimsy.
Your story of the sewing machine brought tears to my eyes. Isn’t God so outrageous? He must have had a lot of fun with that gift. I can just imagine Ali having a lot of fun showing her Creator some of her magical creations.
Keep hugging each other in these sad days.
Grace and peace
Sheridan Voysey
Thanks Ian. You’ve got Ali right, and I think you’ve got God right too. That must’ve been a fun stunt to pull :).
Christina Hubbard
Hi, Sheridan! Thank you for sharing Ali’s story. I’m so glad she came to know Christ through your group and friendships. What a gift her life must be to you all as you remember and celebrate her.
Sheridan Voysey
Very much, Christina. Thank you.